MOTD (Meme of the Day)

Chief loves to Jump to catch and swallow food tosses to him 6+ feet away. Tosss it up, right down the throat with a single jaw movement.
Its amazing how a pill tossed the same way is the only thing to hit the floor.

We've had good luck by getting out some meat and chopping it on the counter to get him all excited, throw him a few pieces, then take the pill and rub it in the meat and toss it like the others. By the time he realizes it its too late lol.
Goose got ran over a few years ago and was on a lot of meds for a few weeks. For a long te after that he would nibble every morcel of food you gave him with his front teeth before swallowing it to make sure there were no pills in it ha. Hence the shove it down his throat method.
I used peanut butter on a cracker. Bury the pill in the peanut butter. By the time she figured it out, she had swallowed the pill.
**Someone pasted calculated crystals at this point**
┌──
Starting from a crystal structure in Alexandria, relaxed with GGA-PBE, the X-ray diffraction stick pattern of B7C3 was calculated for Cu Kα X-rays.
Neutral-atom scattering factors, no anomalous dispersion.

Crystal structure
```
B7C3
1.0
6.9343 -1.3466 0.0000
6.9343 1.3466 0.0000
-0.9733 0.0000 4.2140
B C
7 3
Direct
0.0000 0.0000 0.0000
0.2638 0.2638 0.9990
0.4406 0.4406 0.5647
0.5173 0.5173 0.2970
0.5931 0.5931 0.6705
0.6550 0.6550 0.3303
0.8208 0.8208 0.8540
0.1135 0.1135 0.8590
0.1881 0.1881 0.2041
0.9063 0.9063 0.6921
```

Largest 10 diffraction maxima, low angle first, 2θ from 10° to 90°:
2θ (°), intensity
13.10, 1000
21.08, 278
22.21, 208
27.35, 630
37.69, 493
38.97, 214
39.46, 904
40.97, 398
67.61, 298
69.85, 174
└──
I used peanut butter on a cracker. Bury the pill in the peanut butter. By the time she figured it out, she had swallowed the pill.
I think I have the only dog in the world that has zero interest in peanut butter
I think I have the only dog in the world that has zero interest in peanut butter
After what you put it on that time...who can blame them?
Just because I’m a petty asshole, I thought you established that was unpossible from happening with your dog(s)?
Thanks for your concern. He wasn't on the road. He was at work with my dad. He was running beside the truck and looked up and something had been placed in his usual flight path. He juked left when he should have juked right.
Thanks for your concern. He wasn't on the road. He was at work with my dad. He was running beside the truck and looked up and something had been placed in his usual flight path. He juked left when he should have juked right.
- - -
# 1
Starting from DFT lattice parameters and positions (GGA-PBE), the XRD peak list of K3Zn6Au5 was computed for copper Kα.
Lines closer than 0.1° are merged.

Peak list (6 most intense, 2θ from 10° to 90°, in order of falling intensity)
(2 0 0), 2θ = 39.94°, I = 100
(0 0 2), 2θ = 16.57°, I = 67
(1 3 2), 2θ = 32.78°, I = 66
(1 0 1), 2θ = 21.32°, I = 54
(1 3 4), 2θ = 44.26°, I = 48
(1 1 2), 2θ = 26.66°, I = 42

Crystal structure
a b c (Å): 4.5186 13.4052 10.7021
angles (deg): 90.00 90.00 90.00
Space group Pmmn (No. 59, origin choice 2)
Inequivalent atoms, fractional coordinates:
K1 0.2500 0.1008 0.2476 (multiplicity 4)
K2 0.2500 0.7500 0.2546 (multiplicity 2)
Zn1 0.2500 0.0520 0.9147 (multiplicity 4)
Zn2 0.2500 0.2500 0.5266 (multiplicity 2)
Zn3 0.2500 0.2500 0.9872 (multiplicity 2)
Zn4 0.2500 0.5699 0.4885 (multiplicity 4)
Au1 0.2500 0.0754 0.6580 (multiplicity 4)
Au2 0.2500 0.6369 0.9908 (multiplicity 4)
Au3 0.2500 0.7500 0.5867 (multiplicity 2)

=====

# 2
Starting from DFT lattice parameters and positions (GGA-PBE), the XRD peak list of K2Zn3Au4 was computed for copper Kα.
Lines closer than 0.1° are merged.

Peak list (6 most intense, 2θ from 10° to 90°, in order of falling intensity)
(1 1 1), 2θ = 16.91°, I = 100
(1 3 1), 2θ = 29.37°, I = 68
(1 3 7), 2θ = 38.21°, I = 67
(2 0 6), 2θ = 35.64°, I = 42
(0 0 12), 2θ = 42.03°, I = 37
(1 3 5), 2θ = 34.04°, I = 36

Crystal structure
a b c (Å): 6.2147 10.5577 25.8066
angles (deg): 90.00 90.00 90.00
Space group Fddd (No. 70, origin choice 2)
Inequivalent atoms, fractional coordinates:
K1 0.1250 0.1250 0.0477 (multiplicity 16)
Zn1 0.1250 0.1250 0.3625 (multiplicity 16)
Zn2 0.1250 0.1250 0.6250 (multiplicity 8)
Au1 0.0648 0.2908 0.6997 (multiplicity 32)

=====

# 3
Starting from DFT lattice parameters and positions (GGA-PBE), the XRD peak list of K4Zn2Au5 was computed for copper Kα.
Lines closer than 0.1° are merged.

Peak list (6 most intense, 2θ from 10° to 90°, in order of falling intensity)
(2 4 2), 2θ = 40.73°, I = 100
(1 3 0), 2θ = 15.17°, I = 84
(1 6 1), 2θ = 30.60°, I = 59
(3 2 1), 2θ = 33.07°, I = 57
(2 2 0), 2θ = 20.05°, I = 43
(4 3 1), 2θ = 42.54°, I = 35

Crystal structure
a b c (Å): 9.6785 21.9801 5.5915
angles (deg): 90.00 90.00 90.00
Space group Ibam (No. 72)
Inequivalent atoms, fractional coordinates:
K1 0.1096 0.1417 0.0000 (multiplicity 8)
K2 0.2077 0.4480 0.0000 (multiplicity 8)
Zn1 0.0000 0.2802 0.2500 (multiplicity 8)
Au1 0.0000 0.0000 0.2500 (multiplicity 4)
Au2 0.0668 0.3810 0.5000 (multiplicity 8)
Au3 0.2143 0.2373 0.5000 (multiplicity 8)

=====

# 4
Starting from DFT lattice parameters and positions (GGA-PBE), the XRD peak list of KZn12Au6 was computed for copper Kα.
Lines closer than 0.1° are merged.

Peak list (6 most intense, 2θ from 10° to 90°, in order of falling intensity)
(3 2 1), 2θ = 40.25°, I = 100
(0 3 3), 2θ = 39.93°, I = 83
(0 2 4), 2θ = 43.44°, I = 65
(2 0 2), 2θ = 26.31°, I = 57
(1 1 0), 2θ = 15.24°, I = 53
(2 1 1), 2θ = 25.34°, I = 52

Crystal structure
- - -

No worries. Accidents happen, that’s the crux of my position. On a leash, perhaps someone could have made him zig, instead of zag. But if you don’t care, I don’t care, as long as your dog doesn’t zag into my car or my child.
No worries. Accidents happen, that’s the crux of my position. On a leash, perhaps someone could have made him zig, instead of zag. But if you don’t care, I don’t care, as long as your dog doesn’t zag into my car or my child.
You're no where near my sprawling country estate, your car and children should be safe.
'''
Structure and simulated X-ray powder pattern of PmTh3Se4 (a structure optimized by DFT (GGA-PBE); CuKα).
Kinematic intensities with the Lorentz-polarization factor, no thermal factor.

Crystal structure
a b c (Å): 7.2381 8.6003 7.1938
angles (deg): 90.00 110.62 90.00
Sites, in units of the cell vectors:
Pm1 0.0000 0.1234 0.2500
Pm2 0.0000 0.8766 0.7500
Th1 0.0000 0.3755 0.7500
Th2 0.0000 0.6245 0.2500
Th3 0.5000 0.1260 0.7500
Th4 0.5000 0.3770 0.2500
Th5 0.5000 0.6230 0.7500
Th6 0.5000 0.8740 0.2500
Se1 0.2472 0.3722 0.4974
Se2 0.2472 0.6278 0.9974
Se3 0.2484 0.1239 0.0010
Se4 0.2484 0.8761 0.5010
Se5 0.7516 0.1239 0.4990
Se6 0.7516 0.8761 0.9990
Se7 0.7528 0.3722 0.0026
Se8 0.7528 0.6278 0.5026

Largest 12 diffraction maxima, low angle first, 2θ = 10–90°:
25.58 deg, intensity 19
26.31 deg, intensity 9
26.48 deg, intensity 9
30.10 deg, intensity 100
42.02 deg, intensity 14
42.99 deg, intensity 25
43.21 deg, intensity 25
44.10 deg, intensity 12
52.57 deg, intensity 14
54.15 deg, intensity 7
62.58 deg, intensity 13
71.16 deg, intensity 12


Structure and simulated X-ray powder pattern of PmGe3Ir2 (a structure optimized by DFT (GGA-PBE); CuKα).
Kinematic intensities with the Lorentz-polarization factor, no thermal factor.

Crystal structure
a b c (Å): 6.3000 6.3000 5.7190
angles (deg): 90.00 90.00 77.65
Sites, in units of the cell vectors:
Pm1 0.1602 0.8398 0.7500
Pm2 0.8398 0.1602 0.2500
Ge1 0.0576 0.6112 0.2500
Ge2 0.3888 0.9424 0.2500
Ge3 0.4763 0.5237 0.2500
Ge4 0.5237 0.4763 0.7500
Ge5 0.6112 0.0576 0.7500
Ge6 0.9424 0.3888 0.7500
Ir1 0.2690 0.2690 0.0000
Ir2 0.2690 0.2690 0.5000
Ir3 0.7310 0.7310 0.0000
Ir4 0.7310 0.7310 0.5000

Largest 12 diffraction maxima, low angle first, 2θ = 10–90°:
18.07 deg, intensity 50
22.51 deg, intensity 37
29.02 deg, intensity 56
33.06 deg, intensity 31
33.53 deg, intensity 64
35.29 deg, intensity 36
36.36 deg, intensity 100
36.62 deg, intensity 42
38.88 deg, intensity 82
43.19 deg, intensity 93
43.41 deg, intensity 40
49.77 deg, intensity 32


Structure and simulated X-ray powder pattern of Y8PtSe3S4 (a structure optimized by DFT (GGA-PBE); CuKα).
Kinematic intensities with the Lorentz-polarization factor, no thermal factor.

Crystal structure
a b c (Å): 8.0356 8.0356 8.0356
angles (deg): 59.94 59.94 59.94
Sites, in units of the cell vectors:
Y1 0.2377 0.7518 0.7518
Y2 0.2432 0.2432 0.2432
Y3 0.2482 0.2482 0.7623
Y4 0.2482 0.7623 0.2482
Y5 0.7518 0.2377 0.7518
Y6 0.7518 0.7518 0.2377
Y7 0.7568 0.7568 0.7568
Y8 0.7623 0.2482 0.2482
Pt1 0.0000 0.0000 0.0000
Se1 0.0000 0.5000 0.5000
Se2 0.5000 0.0000 0.5000
Se3 0.5000 0.5000 0.0000
S1 0.0000 0.0000 0.5000
S2 0.0000 0.5000 0.0000
S3 0.5000 0.0000 0.0000
S4 0.5000 0.5000 0.5000

Largest 12 diffraction maxima, low angle first, 2θ = 10–90°:
13.50 deg, intensity 16
26.03 deg, intensity 13
31.50 deg, intensity 100
34.41 deg, intensity 8
41.29 deg, intensity 6
45.16 deg, intensity 71
47.35 deg, intensity 5
56.10 deg, intensity 24
65.77 deg, intensity 11
'''
I bought the "wrong" dog food once. Goose ate the entire bowl every night, except for the little green pieces that looked like peas.
Jack never ate the green pieces either LOL 😆
Maybe they should start serving clams or sushi w the hooters?
Just give 'em a whiff before you take that first taste.....don't want one that done turnt! :lol: